Excerpt:
********
(1)
Computed, not measured: a geometry-optimized Li4MnO3 structure at the PBE+U level of DFT.

Cell lengths 5.086, 10.247, 6.796 Å; angles 107.28, 90.01, 90.02 degrees
Positions (direct):
Li  0.353  0.380  0.303
Li  0.853  0.880  0.803
Li  0.646  0.380  0.802
Li  0.146  0.880  0.302
Li  0.159  0.276  0.916
Li  0.659  0.776  0.416
Li  0.841  0.275  0.416
Li  0.341  0.775  0.916
Li  0.717  0.206  0.036
Li  0.217  0.706  0.536
Li  0.282  0.206  0.536
Li  0.782  0.706  0.036
Li  0.849  0.136  0.669
Li  0.349  0.636  0.169
Li  0.150  0.137  0.170
Li  0.650  0.637  0.670
Mn  0.851  0.516  0.257
Mn  0.648  0.016  0.256
Mn  0.351  0.016  0.757
Mn  0.148  0.516  0.756
O  0.006  0.333  0.191
O  0.506  0.833  0.691
O  0.993  0.333  0.691
O  0.493  0.833  0.191
O  0.497  0.203  0.786
O  0.997  0.703  0.286
O  0.502  0.203  0.286
O  0.002  0.703  0.786
O  0.993  0.062  0.892
O  0.493  0.562  0.392
O  0.006  0.062  0.392
O  0.506  0.562  0.891

Values from the calculation:
* energy of formation from the pure elements: -1.969 eV/atom
* calculated density: 2.6 Mg/m³

***

(2)
Computed, not measured: a geometry-optimized Li2Mn5O10 structure at the PBE+U level of DFT.

Cell lengths 5.068, 5.192, 7.641 Å; angles 73.65, 72.39, 80.13 degrees
Positions (direct):
Li  0.238  0.493  0.570
Li  0.762  0.507  0.430
Mn  0.110  0.998  0.309
Mn  0.000  0.500  0.000
Mn  0.690  0.010  0.110
Mn  0.310  0.990  0.890
Mn  0.890  0.002  0.691
O  0.042  0.792  0.138
O  0.090  0.226  0.470
O  0.342  0.205  0.062
O  0.206  0.767  0.768
O  0.459  0.797  0.323
O  0.541  0.203  0.677
O  0.794  0.233  0.232
O  0.658  0.795  0.938
O  0.910  0.774  0.530
O  0.958  0.208  0.862

Values from the calculation:
* energy of formation from the pure elements: -1.936 eV/atom
* calculated density: 4.1 Mg/m³

***

(3)
Computed, not measured: a geometry-optimized LiMn3O4 structure at the PBE+U level of DFT.

Cell lengths 3.166, 6.286, 8.652 Å; angles 90.00, 90.00, 91.42 degrees
Positions (direct):
Li  0.500  0.750  0.747
Li  0.500  0.250  0.247
Mn  0.500  0.250  0.752
Mn  0.002  0.499  0.498
Mn  0.998  0.001  0.498
Mn  0.500  0.750  0.253
Mn  0.002  0.999  0.998
Mn  0.998  0.501  0.998
O  0.075  0.513  0.250
O  0.075  0.013  0.750
O  0.925  0.487  0.750
O  0.925  0.987  0.250
O  0.500  0.750  0.021
O  0.500  0.250  0.521
O  0.500  0.250  0.984
O  0.500  0.750  0.484

Values from the calculation:
* energy of formation from the pure elements: -2.035 eV/atom
* calculated density: 4.5 Mg/m³

***

(4)
Computed, not measured: a geometry-optimized Li12Mn2O9 structure at the PBE+U level of DFT.

Cell lengths 5.764, 5.674, 8.162 Å; angles 87.15, 92.25, 117.82 degrees
Positions (direct):
Li  0.060  0.700  0.919
Li  0.288  0.953  0.580
Li  0.064  0.346  0.573
Li  0.038  0.027  0.261
Li  0.971  0.997  0.772
Li  0.321  0.366  0.918
Li  0.625  0.681  0.583
Li  0.376  0.035  0.089
Li  0.704  0.714  0.069
Li  0.924  0.622  0.403
Li  0.669  0.069  0.397
Li  0.939  0.293  0.078
Mn  0.331  0.620  0.273
Mn  0.669  0.301  0.759
O  0.292  0.920  0.348
O  0.995  0.344  0.323
O  0.039  0.020  0.008
O  0.325  0.648  0.037
O  0.334  0.286  0.683
O  0.687  0.746  0.326
O  0.677  0.383  0.979
O  0.958  0.639  0.669
O  0.701  0.047  0.634

Values from the calculation:
* energy of formation from the pure elements: -2.026 eV/atom
* calculated density: 2.4 Mg/m³

***

(5)
Computed, not measured: a geometry-optimized Li7Mn17O32 structure at the PBE+U level of DFT.

Cell lengths 10.269, 10.269, 8.276 Å; angles 66.35, 66.35, 107.93 degrees
Positions (direct):
Li  0.938  0.563  0.502
Li  0.811  0.189  0.000
Li  0.685  0.808  0.004
Li  0.564  0.436  0.500
Li  0.437  0.062  0.498
Li  0.192  0.315  0.996
Li  0.062  0.938  0.500
Mn  0.870  0.869  0.255
Mn  0.001  0.755  0.995
Mn  0.002  0.254  0.496
Mn  0.627  0.126  0.748
Mn  0.746  0.998  0.504
Mn  0.874  0.373  0.252
Mn  0.752  0.501  0.999
Mn  0.382  0.378  0.247
Mn  0.499  0.248  0.001
Mn  0.622  0.618  0.753
Mn  0.497  0.744  0.502
Mn  0.256  0.503  0.498
********
Request:
Filter the notes above: keep the lines with the word "not".
Reply:
Computed, not measured: a geometry-optimized Li4MnO3 structure at the PBE+U level of DFT.
Computed, not measured: a geometry-optimized Li2Mn5O10 structure at the PBE+U level of DFT.
Computed, not measured: a geometry-optimized LiMn3O4 structure at the PBE+U level of DFT.
Computed, not measured: a geometry-optimized Li12Mn2O9 structure at the PBE+U level of DFT.
Computed, not measured: a geometry-optimized Li7Mn17O32 structure at the PBE+U level of DFT.